Join us at the next FREE

4Life Closing Webinar

to learn about 5 keys to making the closing process

more enjoyable for you and your customers!



Know What to Say

No more glazed over looks from your potential customers.

Close Like a Rockstar

Take these keys and implement into your business right away!

Attend LIVE

We all know where recordings go to die…to your e-mail…so attend live!

Closing Webinar is


October 24th, 2017


5:00m – 6:00pm (Pacific Time)




Registration Closes in:







-- Between two parts of the piece: materials data --
# 1
The following is a PBE calculation of a relaxed structure of Ba5Si3, from Materials Project.

Unit cell a=8.4153 b=8.4153 c=16.9542 alpha=90.00 beta=90.00 gamma=90.00
Fractional coordinates of all 32 atoms:
Ba (0.3077, 0.6725, 0.1067)
Ba (0.1725, 0.1923, 0.1067)
Ba (0.5000, 0.0000, 0.7292)
Ba (0.3275, 0.6923, 0.3933)
Ba (0.6725, 0.6923, 0.8933)
Ba (0.1923, 0.1725, 0.3933)
Ba (0.6725, 0.3077, 0.3933)
Ba (0.1725, 0.8077, 0.6067)
Ba (0.3275, 0.3077, 0.8933)
Ba (0.1923, 0.8275, 0.8933)
Ba (0.5000, 0.0000, 0.2292)
Ba (0.8275, 0.1923, 0.6067)
Ba (0.3077, 0.3275, 0.6067)
Ba (0.8077, 0.8275, 0.3933)
Ba (0.8077, 0.1725, 0.8933)
Ba (0.8275, 0.8077, 0.1067)
Ba (0.0000, 0.5000, 0.2708)
Ba (0.0000, 0.5000, 0.7708)
Ba (0.6923, 0.3275, 0.1067)
Ba (0.6923, 0.6725, 0.6067)
Si (0.1013, 0.1013, 0.7500)
Si (0.3987, 0.6013, 0.7500)
Si (0.0000, 0.5000, 0.9846)
Si (0.6013, 0.6013, 0.2500)
Si (0.5000, 0.0000, 0.0154)
Si (0.1013, 0.8987, 0.2500)
Si (0.6013, 0.3987, 0.7500)
Si (0.8987, 0.8987, 0.7500)
Si (0.3987, 0.3987, 0.2500)
Si (0.8987, 0.1013, 0.2500)
Si (0.5000, 0.0000, 0.5154)
Si (0.0000, 0.5000, 0.4846)

As for the corrected total energy (MP2020 scheme): -3.5340 eV/atom. The calculation puts the formation energy at -2.40 eV per formula unit. The symmetry is P4/ncc (130).


# 2
The following is a PBE calculation of a relaxed structure of KC2, from Materials Project.

Unit cell a=4.3821 b=4.3821 c=7.4507 alpha=90.00 beta=90.00 gamma=90.00
Fractional coordinates of all 6 atoms:
K (0.0000, 0.5000, 0.2458)
K (0.5000, 0.0000, 0.7542)
C (0.0000, 0.5000, 0.6615)
C (0.5000, 0.0000, 0.3385)
C (0.0000, 0.5000, 0.8313)
C (0.5000, 0.0000, 0.1687)

The calculation puts the formation energy at 3.86 eV per formula unit. The calculation puts the total magnetization at 1.00 μB per formula unit. The symmetry is P4/nmm (129). Its relative energy among the computed polymorphs is 0.0 kJ per mole of atoms.


# 3
The following is a PBE calculation of a relaxed structure of Mn2Cr13S20, from Materials Project.

Unit cell a=7.9442 b=8.1083 c=8.7681 alpha=102.40 beta=104.95 gamma=88.61
Fractional coordinates of all 35 atoms:
Mn (0.3003, 0.3000, 0.7005)
Mn (0.6997, 0.7000, 0.2995)
Cr (0.1008, 0.1013, 0.8991)
Cr (0.5000, 0.5000, 0.5000)
Cr (0.8992, 0.8987, 0.1009)
Cr (0.1346, 0.6196, 0.0649)
Cr (0.5364, 0.0194, 0.6654)
Cr (0.9362, 0.4187, 0.2658)
Cr (0.3349, 0.8186, 0.8658)
Cr (0.7335, 0.2191, 0.4663)
Cr (0.0638, 0.5813, 0.7342)
Cr (0.4636, 0.9806, 0.3346)
Cr (0.8654, 0.3804, 0.9351)
Cr (0.2665, 0.7809, 0.5337)
Cr (0.6651, 0.1814, 0.1342)
S (0.1945, 0.4828, 0.5039)
S (0.9900, 0.2814, 0.7077)
S (0.7971, 0.0781, 0.9055)
S (0.5923, 0.8842, 0.1049)
S (0.3911, 0.6801, 0.3064)
S (0.6089, 0.3199, 0.6936)
S (0.4077, 0.1158, 0.8951)
S (0.2029, 0.9219, 0.0945)
S (0.0100, 0.7186, 0.2923)
S (0.8055, 0.5172, 0.4961)
S (0.6773, 0.4491, 0.0943)
S (0.4759, 0.2494, 0.2935)
S (0.2765, 0.0489, 0.4955)
S (0.0774, 0.8504, 0.6933)
S (0.8750, 0.6487, 0.8950)
S (0.1250, 0.3513, 0.1050)
S (0.9226, 0.1496, 0.3067)


FREE 4Life Closing Webinar

Attention!  This is not a teaser webinar!  Join us in this free webinar to learn the 5 keys to making closing a more enjoyable process for you and your potentional customer.  Know what to say and how to say it so that you can increase your closing percentage immediately following this webinar.  Check out what students of ALL levels are saying about our programs below!

Never before have I seen a training program take a group of people from such vastly different backgrounds and skill levels and bring them on the same page of delivering consistent value to their customers and to the ultimate success of their business. Emerge sales training has simplified the way and allowed those once paralyzed by fear of sales to blossom with confidence as they found comfortable ways to serve their customers and remain true to who they are as individuals. Those who came in with with higher level of skills have found a way to simplify what they are doing and train those joining them to hit the ground running and make their business profitable. I’m so thankful to Tasha and her team for bringing so much value to our industry! – doTERRA Presidential Diamond

Webinar Host

**Someone pasted materials data at this point**
____________
No. 1
DyEr3, relaxed, DFT GGA-PBE; calculated density = 8810 kg/m³; VASP energy = -4.567 eV/atom; volume = 250.4 Å³ per cell
1.0
7.1774 0.0000 0.0000
-3.5887 6.2158 0.0000
0.0000 0.0000 5.6126
Dy Er
2 6
Direct
0.3333 0.6667 0.2500 Dy
0.6667 0.3333 0.7500 Dy
0.1662 0.3325 0.7500 Er
0.1662 0.8338 0.7500 Er
0.3325 0.1662 0.2500 Er
0.6675 0.8338 0.7500 Er
0.8338 0.1662 0.2500 Er
0.8338 0.6675 0.2500 Er

---

No. 2
DyErTl2, relaxed, DFT GGA-PBE; calculated density = 11212 kg/m³; VASP energy = -3.800 eV/atom; volume = 109.4 Å³ per cell
1.0
0.0000 3.7957 3.7957
3.7957 0.0000 3.7957
3.7957 3.7957 0.0000
Dy Er Tl
1 1 2
Direct
0.0000 0.0000 0.0000 Dy
0.5000 0.5000 0.5000 Er
0.2500 0.2500 0.2500 Tl
0.7500 0.7500 0.7500 Tl

---

No. 3
DyErZn2, relaxed, DFT GGA-PBE; calculated density = 8486 kg/m³; VASP energy = -3.274 eV/atom; volume = 90.1 Å³ per cell
1.0
0.0000 3.5585 3.5585
3.5585 0.0000 3.5585
3.5585 3.5585 0.0000
Dy Er Zn
1 1 2
Direct
0.0000 0.0000 0.0000 Dy
0.5000 0.5000 0.5000 Er
0.2500 0.2500 0.2500 Zn
0.7500 0.7500 0.7500 Zn

---

No. 4
Eu3Dy, relaxed, DFT GGA-PBE; calculated density = 6547 kg/m³; VASP energy = -8.763 eV/atom; volume = 313.7 Å³ per cell
1.0
7.6433 0.0000 0.0000
-3.8216 6.6193 0.0000
0.0000 0.0000 6.2002
Eu Dy
6 2
Direct
0.1696 0.3392 0.2500 Eu
0.1696 0.8304 0.2500 Eu
0.3392 0.1696 0.7500 Eu
0.6608 0.8304 0.2500 Eu
0.8304 0.1696 0.7500 Eu
0.8304 0.6608 0.7500 Eu
0.3333 0.6667 0.7500 Dy
0.6667 0.3333 0.2500 Dy

---

No. 5
KEuDySeO6, relaxed, DFT GGA-PBE; calculated density = 6536 kg/m³; volume = 134.3 Å³ per cell; total energy after the MP2020 corrections = -73.55 eV for the cell shown
1.0
0.0000 4.0643 4.0643
4.0643 0.0000 4.0643
4.0643 4.0643 0.0000
K Eu Dy Se O
1 1 1 1 6
Direct
0.0000 0.0000 0.0000 K
0.5000 0.5000 0.5000 Eu
0.2500 0.2500 0.2500 Dy
0.7500 0.7500 0.7500 Se
0.5231 0.5231 0.9769 O
0.5231 0.9769 0.5231 O
0.5231 0.9769 0.9769 O
0.9769 0.5231 0.5231 O
0.9769 0.5231 0.9769 O
0.9769 0.9769 0.5231 O

---

No. 6
NaEuDySbO6, relaxed, DFT GGA-PBE; calculated density = 6354 kg/m³; volume = 145.1 Å³ per cell; total energy after the MP2020 corrections = -76.67 eV for the cell shown
1.0
0.0000 4.1706 4.1706
4.1706 0.0000 4.1706
4.1706 4.1706 0.0000
Na Eu Dy Sb O
1 1 1 1 6
Direct
0.0000 0.0000 0.0000 Na
0.5000 0.5000 0.5000 Eu
0.2500 0.2500 0.2500 Dy
0.7500 0.7500 0.7500 Sb
0.5127 0.5127 0.9873 O
0.5127 0.9873 0.5127 O
0.5127 0.9873 0.9873 O
0.9873 0.5127 0.5127 O
0.9873 0.5127 0.9873 O
0.9873 0.9873 0.5127 O

* * * * *

(1)
DFT (meta-GGA r2SCAN) results for a relaxed structure of Lu6FeSb2.

Geometry as POSCAR:
```
Lu6FeSb2
1.0
7.9818 0.0003 0.0000
-3.9907 6.9120 0.0000
0.0000 0.0000 4.0886
Sb Lu Fe
2 6 1
Cartesian
3.9908 2.3038 0.0000
0.0006 4.6081 0.0000
-2.1018 6.9121 0.0000
0.8556 6.9121 2.0443
-0.9445 1.6359 0.0000
1.5680 2.7153 2.0443
3.0467 5.2765 0.0000
-2.4233 4.1973 2.0443
-3.9906 6.9120 2.0443
```

Output
* energy relative to the elements: -14.05 kcal/mol of atoms
* total moment: 0.81 μB per formula unit
____________
**The materials data stop here**

Karen Hammond – Emerge Sales Training, VP of Sales

So many things! This program has changed my life and my team. It’s helped me simplify the process of launching new leaders. It’s so simple and duplicatable and FUN! I became so much better at selling the oils and I put myself through the training to really help me learn the right skills to sell essential oils. I was so overwhelmed with what direction to take my team and then Emerge fell on my lap. I couldn’t be more grateful for such a wonderful training and the hands on approach that Emerge brings to us Wellness Advocates. My teams growth is increasing and many stagnant builders are back in the game! -doTERRA Blue Diamond

Confidence in sharing the simplicity of the oils and products.  New team members “on boarded” so smoothly!  Way less confusion at classes with multiple people. – doTERRA Gold

Simplified the way I teach. Improved my closing percentage and average sale.  I stopped spinning my wheels by sampling and following up.  I just focused on setting sales appointments and more consistently performing wellness consults and bringing up the business.  I have launched more people into the business and have a drastically improved personal retention rate. – doTERRA Platinum

Had several business builder prospects and closed and launched 3 in the last month.  Also revamped my training and coaching skills with my current builders and using the Emerge format and saw an increase in their sales results and their comfort level in setting apointments and closing. – doTERRA Elite

I love my business again.  Confidence and enjoyment doing the business again!  Happy Customers.  3 potential builders and 5 builders ready to do the business again with new Emerge training. – doTERRA Gold

Simple and easy to use duplication and training process. – doTERRA Diamond

Join us at the next FREE

Closing Webinar